Please read my comments below, there is NO intended malice....... BUT they do contain the TRUTH! Read it please and then re-read it to make sure you understand the points that I am trying to make.
I almost never get involved with posts where there seems to be negativity, in fact I try to keep away most times, but your comments here (and eslewhere) 'Wanna' (Lewis I believe) are both un-founded and that they often inspire bad feeling... towards me which eventually rubs off on my family and makes Newport Speedway look a bit of a laughing stock.
Compound: Tl4In8Pb
Source: Alexandria
Functional: PBE
Structure: relaxed

The energy is -2.641 eV/atom. The value obtained for the density of states at the Fermi level is 0.50 states/eV per atom. For the total magnetization, the calculation gives 0.000 μB/atom. The formation enthalpy at 0 K comes out at 0.74 eV/f.u.

Cell: 6.502 6.502 18.846 Å, 102.27 102.27 30.25°
Atoms (fractional coordinates):
Tl1 0.000 0.000 0.000
Tl2 0.142 0.142 0.717
Tl3 0.567 0.567 0.416
Tl4 0.743 0.743 0.112
In1 0.180 0.180 0.279
In2 0.228 0.228 0.568
In3 0.253 0.253 0.958
In4 0.488 0.488 0.581
In5 0.498 0.498 0.153
In6 0.560 0.560 0.847
In7 0.836 0.836 0.828
In8 0.908 0.908 0.275
Pb1 0.832 0.832 0.436


Compound: CsURuSe3
Source: Alexandria
Functional: PBE
Structure: relaxed

For the raw formation energy, the calculation gives -897 meV/atom. The energy is -6.209 eV/atom. The value obtained for the density of states at the Fermi level is 1.06 states/eV per atom. For the total magnetization, the calculation gives 0.384 μB/atom.

Cell: 9.816 4.020 10.196 Å, 90.00 114.96 90.00°
Atoms (fractional coordinates):
Cs1 0.211 0.250 0.244
Cs2 0.789 0.750 0.756
U1 0.320 0.750 0.841
U2 0.680 0.250 0.159
Ru1 0.085 0.250 0.595
Ru2 0.915 0.750 0.405
Se1 0.126 0.250 0.856
Se2 0.193 0.750 0.533
Se3 0.467 0.750 0.152
Se4 0.533 0.250 0.848
Se5 0.807 0.250 0.467
Se6 0.874 0.750 0.144


Compound: Pm16Nd6Sm7
Source: Alexandria
Functional: PBE
Structure: relaxed

The energy is -4.535 eV/atom. The value obtained for the density of states at the Fermi level is 1.52 states/eV per atom. For the total magnetization, the calculation gives 0.000 μB/atom. The formation enthalpy at 0 K comes out at 6.14 eV/f.u.

Cell: 11.392 11.392 11.392 Å, 60.00 60.00 60.00°
Atoms (fractional coordinates):
Pm1 0.045 0.652 0.652
Pm2 0.126 0.126 0.126
Pm3 0.126 0.126 0.621
Pm4 0.126 0.621 0.126
Pm5 0.348 0.348 0.348
Pm6 0.348 0.348 0.955
Pm7 0.348 0.955 0.348
Pm8 0.379 0.874 0.874
Pm9 0.621 0.126 0.126
Pm10 0.652 0.045 0.652
Pm11 0.652 0.652 0.045
Pm12 0.652 0.652 0.652
Pm13 0.874 0.379 0.874
Pm14 0.874 0.874 0.379
Pm15 0.874 0.874 0.874
Pm16 0.955 0.348 0.348
Nd1 0.272 0.272 0.728
Nd2 0.272 0.728 0.272
Nd3 0.272 0.728 0.728
Nd4 0.728 0.272 0.272
Nd5 0.728 0.272 0.728
Nd6 0.728 0.728 0.272
Sm1 0.000 0.000 0.000
Sm2 0.000 0.000 0.500
Sm3 0.000 0.500 0.000
Sm4 0.000 0.500 0.500
Sm5 0.500 0.000 0.000
Sm6 0.500 0.000 0.500
Sm7 0.500 0.500 0.000


Compound: Ac6Te5Se
Source: Alexandria
Functional: PBE
Structure: relaxed

For the raw formation energy, the calculation gives -1549 meV/atom. The energy is -5.203 eV/atom. The value obtained for the density of states at the Fermi level is 0.56 states/eV per atom. For the total magnetization, the calculation gives 0.000 μB/atom.

Cell: 8.132 8.132 8.118 Å, 99.65 99.65 120.09°
Atoms (fractional coordinates):
Ac1 0.079 0.398 0.737
Ac2 0.237 0.237 0.256
Ac3 0.398 0.079 0.737
Ac4 0.602 0.921 0.263
Ac5 0.763 0.763 0.744
Ac6 0.921 0.602 0.263
Te1 0.173 0.827 0.000
Te2 0.335 0.665 0.500
FACT 1). In August 2010, me and my family were invited over to Newport Speedway as guests after they had heard of the unfortunate occurences at somerset Speedway that had befallen us after 11 years of support as fans and sponsors.
FACT 2). Newport Speedway had NO website whatsoever at that time. The webmaster was unable, for personal reasons, to carry on with it.
FACT 3). As I had been doing, for better or worse ,the somerset website for 11 years I offered to do a website for Newport Speedway. Nothing cloak and dagger! The Mallett family were happy for me to do this as it had no presence on the web at that time.
FACT 4). Me and my family are, first, middle and last, speedway fans. When somerset opened it's speedway doors we became fans, and later sponsors. After 11 years we left somerset speedway, and then we became speedway nomads until our invitation to Newport. We were, mostly, made very welcome and Thoroughly enjoyed our speedway once again.
We are now about to start our 2nd season but Lewis your comments and insults leave me and the family a little unsure.
┌──
Compound: Ac5LaIr3
Source: Alexandria
Functional: GGA-PBE
Structure: relaxed

As for the calculated volume: 662.4 Å³ per cell. As for the crystal system: monoclinic. The calculation puts the magnetization at 0.00 μB/cell.

abc: 6.998 4.438 21.336
angles: 90.00 91.32 90.00
Space group P2/m (No. 10)
Asymmetric unit:
Ac 0.203 0.000 0.395
Ac 0.228 0.000 0.060
Ac 0.269 0.500 0.891
Ac 0.290 0.500 0.229
Ac 0.295 0.500 0.564
La 0.214 0.000 0.728
Ir 0.000 0.500 0.000
Ir 0.012 0.500 0.670
Ir 0.488 0.000 0.831
Ir 0.500 0.000 0.500

Compound: TbPuMgCd
Source: Alexandria
Functional: GGA-PBE
Structure: relaxed

As for the calculated volume: 431.3 Å³ per cell. As for the crystal system: cubic. The calculation puts the magnetization at 25.50 μB/cell.

abc: 7.555 7.555 7.555
angles: 90.00 90.00 90.00
Space group F-43m (No. 216)
Asymmetric unit:
Tb 0.000 0.000 0.000
Pu 0.000 0.000 0.500
Mg 0.250 0.250 0.750
Cd 0.250 0.250 0.250

Compound: Tb2AlGa2Ru5
Source: Alexandria
Functional: GGA-PBE
Structure: relaxed

As for the calculated volume: 335.3 Å³ per cell. As for the crystal system: tetragonal. The calculation puts the magnetization at 2.23 μB/cell.

abc: 9.936 9.936 3.396
angles: 90.00 90.00 90.00
Space group P4/mbm (No. 127)
Asymmetric unit:
Tb 0.170 0.330 0.000
Al 0.000 0.000 0.000
Ga 0.131 0.631 0.000
Ru 0.000 0.500 0.500
Ru 0.063 0.807 0.500

Listing formation energy for the structures above in their given order: -586; -3; -354 meV per atom.
Listing DOS(E_F) for the structures above in their given order: 11.7; 34.6; 23.1 states/eV/cell.
Listing electronic total energy for the structures above in their given order: -6.369; -5.370; -6.898 eV/atom.


Record 1
Below is an optimized crystal structure of Tb2Er2Rh3, with properties calculated at the GGA-PBE level.

Results
Magnetic moment, μB/cell: 0.00
DOS(E_F), states/eV/cell: 3.81
Crystal system: triclinic
Formation energy, eV/f.u.: -5.37
ΔE to the lowest computed polymorph, eV per atom: 0.039

a b c (Å): 4.824 7.667 4.769
angles (deg): 71.95 90.18 108.24
Positions (direct):
Tb 0.627 0.251 0.873
Tb 0.373 0.749 0.127
Er 0.872 0.747 0.628
Er 0.128 0.253 0.372
Rh 0.748 0.496 0.252
Rh 0.252 0.504 0.748
Rh 0.000 0.000 0.000

---

Record 2
Below is an optimized crystal structure of KHoPt4, with properties calculated at the GGA-PBE level.

Results
Magnetic moment, μB/cell: 0.00
DOS(E_F), states/eV/cell: 4.57
Crystal system: cubic
Formation energy, eV/f.u.: -3.94

a b c (Å): 5.468 5.468 5.468
angles (deg): 60.00 60.00 60.00
Positions (direct):
Pt 0.625 0.125 0.625
Pt 0.625 0.625 0.625
Pt 0.625 0.625 0.125
Pt 0.125 0.625 0.625
K 0.250 0.250 0.250
Ho 0.000 0.000 0.000

---

Record 3
Below is an optimized crystal structure of YHf3S, with properties calculated at the GGA-PBE level.

Results
Magnetic moment, μB/cell: 0.00
DOS(E_F), states/eV/cell: 5.15
Crystal system: cubic
ΔE to the lowest computed polymorph, eV per atom: 0.000

a b c (Å): 4.889 4.889 4.889
angles (deg): 90.00 90.00 90.00
Positions (direct):
└──
FACT 5). The MOST important one.
Lewis, if you promise to carry on with the Newport Website without fail next year then I will HAPPILY close down the 'other' site...that was originally requested by the Mallett family! It will give me more time to just enjoy the sport. I'll keep the webspace just for my photos and possibly the track shop.
You are obviously a proper programmer, it shows in your site. I, on the other hand, am just an shows in the my site!
Sadly I imagine that certain folk, yourself included, feel that me and my family are not really Newport fans. That we are interlopers.... READ FACT 4) again....then re-read it!!
We have made some REALLY good friends over there on the 'darkside' and, at the risk of repeating myself, are really enjoying our speedway again. I am happy that we can put a little into the sport that we love so much.
Don't spoil it for us Lewis!
Mike Manning